Revealing the Light~ Instant Freedom

(The text is interrupted by quantum chemistry results)
┌──
a | ORCA calculation (ωB97M-V/def2-TZVPD) on a 2-piece molecular cluster, C2H3N3O overall.

The geometry in XYZ format:
```
9
Properties=species:S:1:pos:R:3
O -1.85 0.51 1.36
C -1.01 -0.31 0.77
N -0.74 -0.57 -0.40
N 0.13 -0.66 -1.30
C 1.94 0.39 0.23
N 1.29 0.75 1.12
H -2.16 1.21 0.75
H -0.16 -1.40 -1.95
H 2.55 0.08 -0.59
```

Calculated values
Orbital gap (spin up / spin down) = 9.0 / 9.0 eV


b | ORCA calculation (ωB97M-V/def2-TZVPD) on C2H3N3O as an isolated structure.

The geometry in XYZ format:
```
9
Properties=species:S:1:pos:R:3
O -1.59 -1.28 0.40
C -0.35 -0.80 0.40
N 0.05 0.05 1.33
N 0.73 0.94 0.54
C 0.74 0.52 -0.73
N 0.19 -0.66 -0.84
H -1.70 -1.75 -0.44
H 0.97 1.84 0.91
H 0.98 1.14 -1.58
```

Calculated values
Orbital gap = 10.1 eV


Name the most stable of them. b.


a | ORCA calculation (ωB97M-V/def2-TZVPD) on C24H20BrClN3O2STi as an isolated structure.

The geometry in XYZ format:
```
53
Properties=species:S:1:pos:R:3
Ti -1.31 0.32 -0.06
O 2.76 -0.15 3.50
C 1.63 -0.20 4.26
C 1.77 -0.24 5.64
C 0.64 -0.28 6.45
C -0.63 -0.27 5.88
C -0.76 -0.24 4.50
C 0.36 -0.21 3.68
C 0.24 -0.25 2.18
O -1.06 -0.12 1.71
N 1.03 0.80 1.58
N 0.63 0.85 0.18
C 1.71 1.45 -0.48
C 1.99 1.73 -1.73
Br -0.93 0.97 -2.50
C 2.61 1.90 -2.87
C 3.33 0.83 -3.57
C 3.36 -0.48 -3.09
C 4.07 -1.47 -3.75
C 4.75 -1.18 -4.93
C 4.71 0.12 -5.44
C 4.01 1.10 -4.76
H 2.50 0.18 2.61
H 2.76 -0.23 6.07
H 0.75 -0.31 7.53
H -1.51 -0.29 6.51
H -1.73 -0.24 4.03
H 0.65 -1.21 1.81
H 0.74 1.67 2.03
H 2.50 1.74 0.21
H 2.53 2.84 -3.40
H 2.82 -0.71 -2.18
H 4.08 -2.48 -3.36
H 5.29 -1.95 -5.46
H 5.23 0.36 -6.36
H 3.98 2.11 -5.16
Cl -7.21 0.30 -0.97
C -5.59 -0.34 -0.91
C -5.04 -0.70 0.30
C -3.74 -1.20 0.32
C -2.99 -1.37 -0.85
C -1.56 -1.69 -0.74
C -3.60 -1.00 -2.06
C -4.88 -0.50 -2.10
H -5.60 -0.56 1.21
H -3.31 -1.49 1.27
H -1.05 -1.93 -1.67
H -1.32 -2.37 0.07
H -3.03 -1.08 -2.98
H -5.33 -0.21 -3.04
S -4.91 3.41 0.52
C -3.63 2.47 0.27
N -2.70 1.79 0.08
```

Calculated values
Net charge = -1
Orbital gap = 7.8 eV


b | ORCA calculation (ωB97M-V/def2-TZVPD) on C24H20BrClN3O2STi as an isolated structure.

The geometry in XYZ format:
```
53
Properties=species:S:1:pos:R:3
Ti 0.23 -1.51 -0.43
O 3.72 2.60 -0.01
C 4.51 1.49 -0.08
C 5.88 1.66 -0.08
C 6.71 0.56 -0.21
C 6.18 -0.72 -0.34
C 4.80 -0.88 -0.31
C 3.96 0.21 -0.17
C 2.46 0.04 -0.02
O 2.04 -1.28 -0.15
N 1.78 0.87 -0.99
N 0.41 0.41 -1.05
C -0.33 1.34 -1.77
C -1.59 1.33 -2.17
Br -1.97 -1.72 -1.61
C -2.76 1.86 -2.47
C -3.45 2.85 -1.61
C -3.19 2.97 -0.24
C -3.80 3.96 0.51
C -4.69 4.85 -0.09
C -4.97 4.72 -1.44
C -4.37 3.73 -2.19
H 2.81 2.34 -0.24
H 6.29 2.66 0.02
H 7.79 0.70 -0.21
H 6.83 -1.58 -0.47
H 4.35 -1.87 -0.39
H 2.17 0.42 0.97
H 2.20 0.71 -1.90
H 0.26 2.20 -2.10
H -3.29 1.56 -3.37
H -2.52 2.26 0.23
H -3.59 4.04 1.57
H -5.15 5.64 0.49
H -5.67 5.41 -1.92
H -4.59 3.63 -3.25
Cl -3.57 -6.13 2.53
C -2.64 -4.67 2.31
C -1.27 -4.71 2.45
C -0.54 -3.54 2.26
C -1.16 -2.34 1.91
C -0.34 -1.13 1.57
C -2.55 -2.34 1.81
C -3.29 -3.49 2.00
H -0.77 -5.63 2.69
└──

Lia's picture


by John McIntosh


You are not your circumstances ... no matter how dark. You are not your behaviours … no matter how disgusting. 


What are these?


They are experiences you have collected … conditioning, out of which flow guilt, remorse and shame.  Much of it is buried as you have deemed it too difficult to look at. Some of it floats closer to the surface of your consciousness in the form of obvious habits … clues to the programs controlling your every moment. Whether seen in your behaviour or subtly hidden, all influence how you experience Life.


You are also not the body.


What is it?


It is an instrument, a vehicle to taste experience. It is very pliable and susceptible to your conditioning. Every vibration that passes through it, down to the DNA and atomic levels, has a sculpting affect on how the body appears, feels and performs for you. Your mind does not recognize this symbiotic relationship unless the Real You goes looking for it.

As a result your circumstances and bodily experiences are tied to a belief in victim-hood when so called 'bad' things occur and to luck and chance when so called 'good' things occur.



This is how much of humanity has ‘existed’ for eons in relative unconsciousness of Truth.


More recently, in your lifetime and a little before there has been a flickering of Truth slip through the barricades of conditioning, which has begun to reshape the way Life is experienced. 


Again, your conditioning and the beliefs they embrace influence how much Truth you allow to Light your Life … the conditioning has become an identity [body-mind or ego] that you have accepted as ‘who you are’ and does not want to lose it’s control, so it is very resistant to the Light of Truth.


INSTANT FREEDOM is possible Now however, in this New Era, this New 5th dimensional Energy of timeless, space-less - Now, this Golden Age in which we Now dwell.


It is this simple:


Observe the chattering of the mind-body as the instruments they were meant to be to experience Life. See them without judgment. 

**Data records, kept here for reference:**
********
Below is a molecular structure, C51H39N4O4P2Sn at a distorted geometry, with properties calculated with ωB97M-V with the def2-TZVPD basis set.

The geometry in ORCA input format:
```
! wB97M-V def2-TZVPD RIJCOSX def2/J DEFGRID3
* xyz 3 1
Sn -2.162 0.419 -0.368
O -5.120 -3.333 0.041
C -4.377 -2.285 0.230
O -3.496 -1.915 -0.527
C -4.676 -1.551 1.499
C -5.491 -2.064 2.506
C -5.676 -1.292 3.645
C -5.056 -0.052 3.738
C -4.251 0.368 2.680
N -4.071 -0.377 1.595
C -3.449 1.636 2.646
O -3.609 2.550 3.559
O -2.610 1.785 1.772
H -4.945 -3.816 -0.788
H -5.949 -3.035 2.393
H -6.290 -1.656 4.455
H -5.201 0.550 4.622
H -4.325 2.435 4.203
N -1.187 2.503 -3.010
P -0.150 2.038 -1.728
C 1.314 1.674 -2.758
C 2.185 2.679 -3.167
C 3.230 2.376 -4.022
C 3.407 1.077 -4.471
C 2.533 0.076 -4.073
C 1.487 0.371 -3.217
C 0.313 3.634 -0.967
C -0.406 4.804 -1.178
C 0.007 5.983 -0.582
C 1.129 5.998 0.230
C 1.845 4.831 0.447
C 1.428 3.648 -0.133
C -2.545 2.625 -2.937
C -3.233 3.389 -3.894
C -4.599 3.512 -3.803
C -5.269 2.872 -2.755
C -4.531 2.132 -1.868
N -3.193 1.998 -1.944
H -0.755 3.013 -3.776
H 2.045 3.693 -2.821
H 3.900 3.158 -4.345
H 4.222 0.849 -5.140
H 2.662 -0.928 -4.448
H 0.781 -0.393 -2.907
H -1.271 4.809 -1.825
H -0.546 6.890 -0.762
H 1.449 6.922 0.685
H 2.730 4.846 1.065
H 1.983 2.731 0.023
H -2.683 3.868 -4.690
H -5.143 4.095 -4.529
H -6.340 2.949 -2.659
H -5.002 1.608 -1.037
C -0.095 -3.310 4.857
C -0.877 -3.059 3.738
C -0.342 -2.385 2.654
C 0.990 -1.977 2.696
C 1.778 -2.229 3.817
C 1.230 -2.899 4.896
P 1.690 -0.983 1.366
C 3.213 -1.599 0.625
C 3.622 -2.924 0.760
C 4.736 -3.359 0.062
C 5.408 -2.496 -0.792
C 4.971 -1.187 -0.956
C 3.871 -0.733 -0.251
C 1.871 0.667 2.052
C 3.099 1.056 2.585
C 3.175 2.227 3.321
C 2.040 2.993 3.537
C 0.816 2.599 3.009
C 0.730 1.435 2.270
H -0.520 -3.821 5.708
H -1.904 -3.395 3.711
H -0.950 -2.178 1.776
H 2.809 -1.902 3.842
H 1.835 -3.096 5.767
H 3.076 -3.606 1.399
H 5.077 -4.376 0.180
H 6.268 -2.845 -1.341
H 5.491 -0.519 -1.624
H 3.506 0.278 -0.385
H 3.980 0.452 2.417
H 4.121 2.528 3.744
H 2.104 3.895 4.127
H -0.066 3.195 3.184
H -0.224 1.100 1.860
N 1.808 -7.919 -3.701
********


If you feel angry then express it … let it out … then let it go … it is not you. If you are excited – express it – then let it go – it is not you. If you feel like acting like a child and be silly … then be silly … it is not you.


Play, laugh, cry, scream, run wild … do what you feel for doing then let it go … it’s not you.


Watch all the old behaviours rise to the surface, embrace them – they are God in disguise … just don’t identify with them … they are not you.


When you experience life without identifications, without reference to past history and all the stories you once believed were real … you ARE FREE NOW.


This does not mean this experience will immediately become your every Moment experience … you will slip back into living from identities and you WILL feel the FREEDOM slip away again. Don’t beat your Self up over this … these programs have been there for a long while. Simply keep choosing to be the watcher – the observer and embrace everything that comes up without distinction of good or bad. 

The Real You that is doing that is expanding in your experience and will Transform these old conditions back into Love and soon … Freedom, will be your every Moment experience.

┌──
# 1
The following is a quantum chemistry calculation of an isolated molecule of C4H5F2N3, from the Open Molecules 2025 dataset.

The value obtained for the highest occupied orbital energy is -0.3638 hartree. The net charge is 0. For the gap between HOMO and LUMO, the calculation gives 10.50 eV. For the maximum force, the calculation gives 6.80 eV Å⁻¹. The value obtained for the LUMO energy is 0.0220 Ha. The SMILES is CCn1nnc(F)c1F. The value obtained for the energy is -14130.921 eV. The energy relative to the best compared isomer or geometry (same formula, charge and spin) comes out at 3.672 eV.

Last columns: bonded neighbours and bond lengths (Å).
Positions of all 14 atoms, in Å:
1 C 0.773 -0.008 -1.990  C2 1.504, H10 1.146, H11 1.063, H12 1.110
2 C 1.050 -0.043 -0.512  C1 1.504, N3 1.445, H13 1.163, H14 1.047
3 N -0.050 0.354 0.337  C2 1.445, N4 1.318, C8 1.663
4 N -0.517 1.538 0.680  N3 1.318, N5 1.300
5 N -1.418 1.461 1.615  N4 1.300, C6 1.418
6 C -1.603 0.111 2.007  N5 1.418, F7 1.313, C8 1.343
7 F -2.364 -0.147 3.046  C6 1.313
8 C -0.827 -0.741 1.317  N3 1.663, C6 1.343, F9 1.321
9 F -0.531 -2.009 1.095  C8 1.321
10 H 1.783 -0.272 -2.462  C1 1.146
11 H 0.373 0.941 -2.255  C1 1.063
12 H 0.158 -0.862 -2.342  C1 1.110
13 H 1.875 0.720 -0.213  C2 1.163
14 H 1.299 -1.042 -0.323  C2 1.047

---

# 2
The following is a quantum chemistry calculation of the ion C10H18NO with charge -1, from the Open Molecules 2025 dataset.

The value obtained for the highest occupied orbital energy (spin up / spin down) is -0.0566 / -0.0566 hartree. The net charge is -1. For the gap between HOMO and LUMO (spin up / spin down), the calculation gives 4.93 / 4.93 eV. For the maximum force, the calculation gives 3.19 eV Å⁻¹. The value obtained for the LUMO energy (spin up / spin down) is 0.1246 / 0.1246 Ha. The value obtained for the energy is -14194.642 eV. The energy relative to the best compared isomer or geometry (same formula, charge and spin) comes out at 1.423 eV.

Last columns: bonded neighbours and bond lengths (Å).
Positions of all 30 atoms, in Å:
1 C 0.997 -1.209 0.956  C2 1.525, C4 1.500, H13 1.167, H14 1.175
2 C -0.262 -1.966 0.546  C1 1.525, C5 1.503, H15 1.122, H16 1.197
3 C -0.446 0.771 1.300  C4 1.610, C6 1.494, H17 1.096, H18 1.102
4 C 1.025 0.288 0.860  C1 1.500, C3 1.610, C7 1.448, H19 1.138
5 C -1.090 -1.156 -0.411  C2 1.503, C6 1.525, C8 1.503, H20 1.144
6 C -1.246 0.254 0.148  C3 1.494, C5 1.525, N11 1.291
7 C 1.266 0.848 -0.453  C4 1.448, C9 1.598, C10 1.471
8 C -2.341 -1.862 -0.854  C5 1.503, H21 1.080, H22 1.118, H23 1.118
9 C 1.063 2.432 -0.403  C7 1.598, H24 1.083, H25 1.053, H26 1.078
10 C 2.631 0.554 -0.918  C7 1.471, H27 1.220, H28 1.068, H29 1.076
11 N -2.221 0.977 -0.292  C6 1.291, O12 1.342, H30 0.969
12 O -2.689 2.161 0.133  N11 1.342
13 H 1.189 -1.371 2.096  C1 1.167
14 H 1.929 -1.514 0.308  C1 1.175
15 H -0.178 -3.016 0.161  C2 1.122
16 H -0.971 -2.175 1.487  C2 1.197
17 H -0.737 0.349 2.269  C3 1.096
└──


This is the Truth of What is possible for everyone Now, in this Golden Age.
